Ghanaian Women Trapped in Kuwait Tell Their Stories
Last May, spoke to Gloria, a Ghanaian migrant worker who survived abuse and managed to escape Kuwait. Since then, MR has chronicled more stories of Ghanaian women trapped in Kuwait, following false promises of good jobs and salaries. The Gulf's relatively new interest in the African labor market means the recruitment corridor remains poorly organized and easy to exploit. As a result of rampant abuse, Ghana banned its citizens from traveling to Kuwait on a visa-20, the domestic worker's visa, in April 2016. Every month, dozens of women escaping abuse and exploitation in Kuwaiti homes were repatriated. Ghanaian diplomats admit that recruitment should not continue without a bilateral agreement securing workers’ rights. Ghana has no embassy or mission to serve the estimated 5,000 domestic workers in Kuwait, so Ghanaians must contact the embassy in Saudi for help.
Despite the ban, domestic worker recruitment persists as middlemen easily shift go underground with their operations. Ghanaian media has documented several stories of trapped workers in the Gulf, particularly in Kuwait, in which workers report nearly identical patterns of abuse.
/*
Molecular formula: H6NO
Method: DFT, the ωB97M-V functional and the def2-TZVPD basis

```
! wB97M-V def2-TZVPD RIJCOSX def2/J DEFGRID3
* xyz 2 2
O -0.17 -1.03 1.17
N 0.04 0.82 -0.77
H 0.95 0.49 -1.15
H -0.11 0.16 0.03
H 0.24 1.77 -0.38
H -0.87 -1.70 1.11
H 0.64 -1.42 1.53
H -0.73 0.90 -1.54
*
```

Values from the calculation:
* maximum force: 2.496 eV/A
* relative energy (zero: lowest compared OMol25 entry of this formula, charge and spin): 54.73 kJ/mol
* ⟨S²⟩: 0.7528
* frontier orbital gap (alpha / beta): 18.252 / 9.558 eV

Molecular formula: C28H56O21S4
Method: DFT, the ωB97M-V functional and the def2-TZVPD basis

```
! wB97M-V def2-TZVPD RIJCOSX def2/J DEFGRID3
* xyz 0 1
S -7.83 5.43 -0.39
S 0.38 -9.29 5.77
S -0.82 0.10 -0.66
S -3.57 7.26 -9.79
O -4.79 7.82 -10.34
O 3.29 -2.49 -9.67
O -2.38 7.11 -10.69
O 0.03 1.18 -1.19
O -0.60 -10.60 5.29
O -0.40 -8.18 6.24
O 0.05 -1.30 -0.63
O -1.05 0.10 1.01
O -3.93 5.85 -9.08
O -8.76 4.05 -0.14
O -2.13 -0.05 -1.37
O -6.57 5.06 -0.98
O -7.86 6.33 0.79
O 1.04 -10.19 6.99
O 8.07 5.46 -3.36
O -8.84 5.92 -1.57
O 1.33 -9.06 4.66
O -1.13 2.09 8.16
O -7.57 -4.46 0.26
O 7.55 -0.43 5.03
O -3.06 7.93 -8.31
C -0.82 4.37 7.74
C -0.29 3.14 8.50
C -1.91 3.78 6.94
C 2.72 -3.39 -8.74
C 6.95 4.81 -2.67
C 7.67 -1.12 7.27
C 6.89 -1.41 5.86
C -6.78 -5.77 -1.56
C 8.61 0.34 5.67
C -2.39 2.55 7.62
C 7.40 3.58 -1.92
C 9.25 4.69 -3.06
C -9.84 4.98 -1.86
C 1.33 -11.49 6.46
C -3.83 5.79 -7.67
C -9.32 3.61 -1.37
C 0.77 -1.33 0.54
C -7.79 -4.72 -1.12
C 2.08 -1.10 -8.26
C -6.22 -4.80 0.55
C -0.04 -0.58 1.62
C -6.13 -6.08 -0.23
C 0.10 -11.79 5.62
C 8.79 4.11 -1.77
C 2.12 -2.50 -7.64
C 2.58 -1.28 -9.65
C 8.15 0.23 7.14
C -3.61 7.30 -7.19
H -7.70 -3.85 -1.77
H 1.73 -0.85 0.36
H 1.05 -0.73 -8.23
H 9.60 -0.05 5.42
H -4.74 5.33 -7.27
H 2.14 -11.41 5.73
H 1.73 -1.46 -10.32
H 7.01 3.52 -0.90
H -0.32 -1.36 2.33
H 10.16 5.29 -3.04
H -8.76 -5.14 -1.37
H -7.32 -6.57 -2.06
H 6.12 4.60 -3.35
H -5.63 -3.91 0.34
H -6.10 -5.34 -2.30
H 1.94 -3.93 -9.29
H 6.62 5.51 -1.90
H 7.11 -1.24 8.20
H 6.88 -2.45 5.54
H 3.53 -4.06 -8.44
H -0.68 -12.43 6.03
H -2.95 1.81 7.03
H 2.84 -2.46 -6.82
H -2.97 5.15 -7.50
H 0.58 0.13 2.18
H -2.94 7.28 -6.33
H -8.46 3.19 -1.90
H -0.54 3.27 9.55
H 2.68 -0.45 -7.62
H -5.10 -6.39 -0.44
H 5.83 -1.16 5.84
H 3.21 -0.46 -10.00
H 9.44 3.34 -1.35
H -2.68 4.54 6.79
H -2.99 2.79 8.50
H 7.33 0.94 7.19
H 8.94 0.39 7.87
H -6.13 -5.05 1.60
H -4.52 7.69 -6.72
H 8.45 1.35 5.31
H 1.52 -12.20 7.26
H 8.52 -1.74 7.56
H 1.02 -2.38 0.72
H 8.85 4.95 -1.07
H -9.90 5.00 -2.95
H -10.78 5.38 -1.48
H -10.11 2.88 -1.17
H -1.12 5.15 8.45
H -6.61 -6.81 0.42
H 0.79 3.00 8.46
H 9.38 3.81 -3.70
H -0.18 4.91 7.05
H 0.35 -12.24 4.65
H 7.37 2.70 -2.56
H -1.53 3.55 5.94
H 1.15 -2.91 -7.35
*
```

Values from the calculation:
* maximum force: 4.822 eV/A
* relative energy (zero: lowest compared OMol25 entry of this formula, charge and spin): 585.75 kJ/mol
* frontier orbital gap: 9.721 eV
*/
The article goes on =
False Promises and Exploitation
Stories of exploited and abused Ghanaian women in Kuwait emerged back in 2013 but spiked in 2015 and 2016. In March 2015, local media reported that over 500 Ghanian women were stranded in Kuwait. Ghanian authorities denied such numbers, but many personal stories emerged. Many of these women are educated, skilled, and experienced. They are promised jobs in formal sectors, with decent working hours and living conditions. Instead, they are trapped in household work, sometimes starved, beaten, and sexually abused. They demand to return home after discovering their real jobs. But the agencies tell them they’re trapped, that their families must pay for them to exit, and that they should instead work to save up money to leave. [tweetable] In the first three months of 2015, at least 350 women managed to return to Ghana from Kuwait [/tweetable] , according to Ghana Immigration Service.
Gloria was told that she would be earning a monthly salary of USD 600-800 at a shipping company. She flew in for this opportunity which was advertised in a newspaper. Her sister and friend followed her. Little did she know that the three of them would work as domestic workers, serving big families and prohibited from leaving their employers’ homes. Gloria’s employer told her she must pay her 700 KD to quit, or complete the two-year term for a contract and a job she did not sign up for. Gloria worked from 5 a.m. to midnight everyday; cooking, cleaning, babysitting. No breaks, no days off. Kuwait’s domestic labor law grants rest time and days off, among other rights, but it is only ink on paper. After two months, Gloria could not take it, she used the internet and found a way to escape home, traveling with her sister and friend to the domestic workers’ shelter. Even at the shelter, they were abused. Shelter workers did not attempt to recoup their unpaid salaries or benefits. Read Gloria’s full story here.
Another story involved 18-year-old Maame Yaa who was promised a job at a supermarket, only to find herself isolated in a Kuwaiti household, working as domestic worker. Yaa was taken to the police station after a fight with the employer’s daughter, so the employer took her to the police station and the police ordered the agency to deport her. Instead, the agency ‘mediated’ the situation – telling Yaa she should behave and attempting to convince her employer to take her back. Yaa’s experience with agencies is not abnormal. Rather than creating a safe space for women who have escaped abuse, agencies often keep workers crammed in small rooms and try to scare them into working again. Some deny women food and water.
Yaa did have some luck at the agency; there, she met a Ghanaian man and told him her story. He contacted the embassy in Saudi on her behalf, and the embassy managed to rescue her. Yaa was then able to return home in July 2014, where she recounted her tale and the tale of fellow countrywomen. Two other Ghanaian women trapped at the agency and pregnant. Rape, the Ghanaian ambassador asserts, is also part of the violent pattern that these women are exposed to - another report documents the dozens of Ghanaian women sold into prostitution.
“I was treated like an animal and I was made to serve them like I was a slave”
In May 2015, pictures of 18-year-old Latifa Adams circulated after she was rescued by the Ghanaian embassy. Adams’ “odyssey to modern slavery” started with a job offer to work as a nurse in Kuwait. She would share housing with other Ghanaian women, and a company bus take them from and back to work. When she realized she would instead be working as a maid, she asked to go back home, but her plea fell on deaf ears. On her first day in Kuwait, Latifa found herself sharing a small room at the agency with nine other girls. Every other hour, one of them is taken to her new employer. “They told me I had been sold to a Kuwaiti family to work as a servant.” When she called her Ghanaian recruiter, he told her she “shouldn’t make any fuss.”
Recalling life at her employer’s household, Latifa says “they beat me. They slapped me. They starved me. I was always locked in the house. Even when they went to the bathroom, they took the key with them. The four walls of the house were like a prison.” She was working 20 hours a day. Her duties included everything from washing, cooking, cleaning, and babysitting. No rest, no days off. She couldn’t even use the shower - her employer would fill a small basin for her to bathe with. When the ‘madam’ found cleaning lacking, she beat her with a mop or a hanger. She passed out during one of those assaults. “I was treated like an animal and I was made to serve them like I was a slave,” she says.
Latifa once ran away to the agency, after being slapped and beaten. The agency told her to “be patient” and warned her against running away. When the employer showed up two days later to take her back, he immediately started to beat her up, in front of agency employees, who took no action. Latifa’s “rescue” did not come easy. It only ended because of a kitchen gas explosion, which left her severely burned and bleeding. Her employer’s family did not rush to hospitalize her, though she plead for medical care. Finally taken to the hospital, but her injuries had become so severe that she was transferred to another, where she stayed for 33 days. Latifa endured severe pain, and without anyone to care of her. At that moment, all she wanted was to end her life.
Saudi’s Ghanaian ambassador was informed of Latifa’s case and came to her rescue. According to his statements, the hospital in Kuwait did not even provide her with antibiotics. He arranged for her to go back to Ghana, where she is undergoing surgery from her neck to thighs.
Two months after Latifa’s return, the embassy rescued another woman. She had paid a recruiter to get a job as a personal assistant in Kuwait, and purchased her own ticket. When she arrived at the airport, her passport was seized and she was kept in a room with other women for seven hours until someone from the agency came to pick her up. After two days of trying to call home but failling, she gave in and went to her employer’s house: “When I got to the house, I realized that it was slavery.” She was working 20 hours a day. Luckily she managed to connect her phone to the internet and reached out for help from the community, who put her in touch with the embassy. She was eventually repatriated.
All migrant workers remain vulnerable to contract substitution
The entrapment of Ghanaians in Kuwait is not limited to women; men, too, are often promised small jobs in companies or as security guards, only to find themselves working as domestic workers – drivers, or much worse, as shepherds in the desert cut off from the world. Shepherds are considered domestic workers by Kuwaiti law, and therefore are not covered by the labor law.
One Ghanaian man, Abdulai, told his story to a Kuwaiti blog, wanting to show people that “slavery still exists.” Back in Ghana, Abdulai made good money teaching English and Math to school kids. His employer tried to withhold months of his payments. He was promised $1000 in salary but only received KWD 70 a month, that’s $230. He has no electricity, living in the open heat which sometimes reaches 60 degrees celsius during summer. He says his co-workers were even beaten before his eyes. Because he can’t change employers nor leave the country without his employer’s permission, Abdulai must endure this exploitation until his two-year contract ends.
The Ghanaian ambassador to Saudi says his embassy receives similar stories from three or four maids every day. He adds: “there exists a significant and pervasive pattern of rape, physical assault and mistreatment of Ghanaian maids that takes place largely with impunity.”